We report on a 23-year-old male patient who had suffered from cyanosis since birth. In the first year of life he was submitted to a hemodynamics examination and complex heart disease was diagnosed which was clinically accompanied without the use of medications. The patient suffered no limitations in respect to routine physical activities and was in functional class I (NYHA). In the six months previous to arriving in our department, the patient evidenced sudden episodes of dizziness together with dyspnea. He was in a good general state, eupneic at rest but cyanotic 4+/6. The thorax was symmetrical the heart rhythm regular with a single second click, hyperphonic at a pulmonary focus (4+/6) and ejective at a high sternal border. The pulmonary auscultation was symmetrical without adventitious sounds. The abdomen presented with no changes. The pulses were palpable for the four limbs without pressure differences or presence of digital clubbing.
An electrocardiogram demonstrated sinus rhythm and a heartbeat of 72 bpm. The P wave axis was +90º, the QRS complex axis was also +90º, and the PR and QRS interval within normal limits.
By radiography, a cardiothoracic index of 0.40 was calculated. Bulging was evidenced by the left medial arch of the heart associated with a deformation at the right cardiac border suggestive of juxtaposition of the atrial appendixes to the left. Slight accentuation of the pulmonary vascular network was also evidenced. The aorta and cardiac apex were to the right (Figure 1).
An echocardiogram identified situs solitus. The venoatrial connections were normal, the atrioventricular connections were univentricular without a right connection and the ventriculo-arterial connection exhibited a double outflow tract from one main ventricle. Significant pulmonary valvar and subvalvar stenosis was diagnosed along with a significant interatrial shunt. A Doppler examination demonstrated a maximum instantaneous pressure gradient of 77 mmHg caused by the pulmonary stenosis.
Coronary cineangiography confirmed the echocardiographic findings of double outflow tract from a single right-type main ventricle and determined a mean pressure in the pulmonary trunk of 14 mmHg, RVP 0.3 w/m2, RVS 21 w/m2, RVP/RVS 0.01. The results of an ergospirometric test gave maximum consumed VO2 of 23 mL/kg/min (high fractions of expired O2 and low fractions of CO2). The peripheral saturation of O2 was 74% and after exercise 62%. There were frequent, uniform, isolated triple extra-systoles, as well as two short periods of non-sustained ventricular tachycardia.
A median transsternal thoracotomy was made. Cardiopulmonary bypass was established at a temperature of 28ºC without aortic clamping. The diagnosis was confirmed as situs solitus in dextrocardia, atrial appendixes to the left (Figure 2), the aorta anterior, pulmonary trunk posterior and the presence of a right-type main ventricle. The superior vena cava was sectioned near the right atrium and anastomosed end-to-side to the right pulmonary artery (Glenn bidirectional). The pulmonary trunk was sectioned near to the pulmonary valve and positioned to the side of the heart in the direction of the inferior vena cava [1]. The inferior vena cava was sectioned from the right atrium and anastomosed to a cryopreserved descending aorta homograft tube [2], which was also anastomosed to the pulmonary trunk (Figure 3). Thus, the total cavopulmonary operation was completed with an extracardiac tube. The cardiopulmonary bypass time was 85 minutes. For all the sutures, 4-0 polypropylene thread was utilized. During the evolution, the patient stayed for two days in the intensive care unit taking intravenous diuretic and inotropic agents. On the 5th day of hospitalization, he was discharged but continued to take warfarin, diuretic agents, amiodarone and angiotensin II receptor antagonists.

Fig. 1 - Chest radiograph characteristic of dextrocardia with atrial juxtaposition to the left

Unrelated to this page: materials data =
Simulated X-ray powder pattern
Compound: Li4Cr3Fe3Sn2O16
Radiation: Cu Kα X-rays
Structure: a PBE+U-relaxed structure
Peak positions follow from Bragg's law for the DFT cell and can differ from measured ones.

Atomic structure:
Cell lengths 5.9666, 5.9862, 9.7470 Å; angles 90.09, 90.38, 119.89 degrees
Space group P1 (No. 1)
Inequivalent atoms, fractional coordinates:
Li 0.0000 0.0000 0.0000 (multiplicity 1)
Li 0.0022 0.9992 0.4999 (multiplicity 1)
Li 0.3351 0.6626 0.5988 (multiplicity 1)
Li 0.6735 0.3303 0.0973 (multiplicity 1)
Cr 0.6581 0.8228 0.2763 (multiplicity 1)
Cr 0.8259 0.1656 0.7757 (multiplicity 1)
Cr 0.8324 0.6607 0.7789 (multiplicity 1)
Fe 0.1661 0.3363 0.2804 (multiplicity 1)
Fe 0.1722 0.8295 0.2784 (multiplicity 1)
Fe 0.3388 0.1702 0.7810 (multiplicity 1)
Sn 0.3359 0.6692 0.0003 (multiplicity 1)
Sn 0.6676 0.3350 0.5018 (multiplicity 1)
O 0.0402 0.5134 0.1536 (multiplicity 1)
O 0.1590 0.3211 0.8940 (multiplicity 1)
O 0.1651 0.8439 0.8937 (multiplicity 1)
O 0.3225 0.1623 0.3936 (multiplicity 1)
O 0.3536 0.6763 0.3862 (multiplicity 1)
O 0.4897 0.9654 0.1541 (multiplicity 1)
O 0.5001 0.5292 0.1564 (multiplicity 1)
O 0.5157 0.4772 0.6561 (multiplicity 1)
O 0.5289 0.0324 0.6572 (multiplicity 1)
O 0.6813 0.8412 0.8926 (multiplicity 1)
O 0.6825 0.3283 0.8848 (multiplicity 1)
O 0.8343 0.1534 0.3937 (multiplicity 1)
O 0.8410 0.6777 0.3937 (multiplicity 1)
Fig. 2 - Juxtaposition of the left and right atrial appendixes to the left.

Fig. 3 - Cryopreserved homograft of the descending aorta as an extracardiac tube connecting the inferior vena cava (VCI) to the pulmonary trunk (TP). The superior vena cava (VCS) was also anastomosed to the pulmonary trunk.
1. Van Son JA, Reddy M, Hanley FL. Extracardiac modification of the Fontan operation without use of prosthetic material. J Thorac Cardiovasc Surg. 1995;110(6):1766-8.
2. Mavroudis C, Backer CL, Deal BJ, Johnsrude CL. Fontan conversion to cavopulmonary connection and arrhythmia circuit cryoablation. J Thorac Cardiovasc Surg. 1998;115(3):547-56.